
A recurring theme in recent times has been the debate about the standards of graduates leaving UK dental schools. Concern has been aired in certain quarters that 'dental students ain't what they used to be,' as Grace1 succinctly puts it.

This belief stems mostly from anecdotal comments that dental graduates are not as competent as they were a few years ago.2 If true, it is ironic that the problems could be due to improvements in dental health since decline in dental decay and edentulousness amongst patients may have reduced graduates' practical clinical experience.

Cabot and Radford3, however, are not convinced of the fundamental premise and have leapt to the defence of today's graduates by questioning whether selective recall is at work and argue that although today's students are very different to those of the past they are not worse.

In particular, they are expected to be both scientist and dentist and have to contend with many more materials and methods than graduates of the past. They go on to argue that, '. . .it would seem sensible to find out exactly what vocational trainers and experienced practitioners think about the modern graduate'.3

This paper takes up that challenge. It presents the results from a random survey of English vocational trainers (VGDPs). VGDPs identified what factors contributed to making a 'good' dentist and how recent trainees measured up to those criteria. Although this cannot settle any disputes about whether today's dental graduates are better or worse than those of the past it does add to the debate about whether today's graduates make the grade. The next section outlines the methods used and is followed by results and a discussion.


The main themes in the questionnaire were initially developed in an open-ended manner with a small group of VGDPs. The questionnaire was then constructed and piloted with different VGDPs and was finalised after minor amendments. The chairman of the Committee on Vocational Training for England And Wales (CVT) provided the names and addresses of all 48 vocational training advisers in England. Following the chairman's advice, each adviser was contacted and sent sealed letters containing questionnaires and freepost envelopes to distribute to any three of their VGDPs. In total, 144 questionnaires were distributed, of which 96 were returned, a response rate of 67 per cent.

The questionnaire was restricted to three sides of A4-size paper in order to reduce the burden on respondents. The first side contained 25 questions on a Likert scale of 1 to 5 where the lower point was marked 'less important' and the upper 'more important.' The respondents were asked, 'On a scale of 1-5 how important do you think the following qualities are in contributing to making a good dentist?'

The second side contained question pairs where respondents were asked, 'On a scale of 1-5 how did your previous vocational trainee perform on the following criteria?' The lower point was marked 'poor' and the upper 'excellent' due to the change in objective. Finally, the last side of the questionnaire asked for background information on them and their previous trainee.


Because of the large number of related questions on the questionnaire factor analyses were first carried out to uncover the key constructs underlying VGDPs' responses. The analyses reported here are based on principal components with varimax rotation. Oblique rotations were also undertaken but resulted in similar results so they are not reported here. Principal components analysis is a method of analysis of interdependence of variables. Our questionnaire contained many closely related questions. Principal components analysis transforms the variation in these many questions into variation in new uncorrelated variables which reflect the key constructs underlying the responses to the many original questions.

The final factors were selected by analysing screeplots. These plot eigenvalues – the variances of the components – in descending order against the number of possible factors. Step-change points (where eigenvalues fall precipitously between one factor and the next) were used to discern the number of factors to extract. Deciding on the number of components to select is therefore subjective to some extent, as is their labeling, which depends on the interpretation of the cluster of questions which comprise them.

The questions that contributed to each factor were selected on the basis of their factor loading being greater than 0.5. The higher the factor loading the more a particular question contributes to the factor under consideration. 0.5 is a more stringent cut-off than used by Slade (1997)11 in his work reducing the number of questions on his oral health impact scale. Only those questions which were highly related to the underlying factor were included.

[Next to the entry, the page also holds data records]
Density functional theory data (meta-GGA r2SCAN) for a relaxed structure of TbMgHg2.

a b c (Å): 5.045 5.045 5.045
angles (deg): 60.00 60.00 60.00
Fractional coordinates of all 4 atoms:
Tb (0.750, 0.750, 0.750)
Mg (0.250, 0.250, 0.250)
Hg (0.000, 0.000, 0.000)
Hg (0.500, 0.500, 0.500)

SG: No. 225
Total magnetic moment (μB per atom): 0.000
Total DFT energy (no corrections) (eV/atom): -34.060
Calculated formation energy (meV/atom): -527

~~~~~

[1]
{
  "formula": "Dy4MnS7",
  "functional": "PBE",
  "state": "relaxed",
  "cell": [[6.265, -1.905, 0.000], [6.265, 1.905, 0.000], [-2.929, 0.000, 11.081]],
  "species": ["Dy", "Dy", "Dy", "Dy", "Mn", "S", "S", "S", "S", "S", "S", "S"],
  "fractional_positions": [[0.000, 0.000, 0.000], [0.387, 0.387, 0.597], [0.579, 0.579, 0.362], [0.693, 0.693, 0.801], [0.807, 0.807, 0.216], [0.033, 0.033, 0.744], [0.200, 0.200, 0.292], [0.355, 0.355, 0.847], [0.424, 0.424, 0.148], [0.659, 0.659, 0.022], [0.729, 0.729, 0.580], [0.949, 0.949, 0.436]],
  "sg": "No. 8"
}

=====

[2]
{
  "formula": "Dy4MnSe7",
  "functional": "PBE",
  "state": "relaxed",
  "cell": [[6.553, -1.981, 0.000], [6.553, 1.981, 0.000], [-3.098, 0.000, 11.635]],
  "species": ["Dy", "Dy", "Dy", "Dy", "Mn", "Se", "Se", "Se", "Se", "Se", "Se", "Se"],
  "fractional_positions": [[0.000, 0.000, 0.000], [0.387, 0.387, 0.598], [0.579, 0.579, 0.363], [0.694, 0.694, 0.802], [0.809, 0.809, 0.219], [0.033, 0.033, 0.746], [0.200, 0.200, 0.293], [0.356, 0.356, 0.847], [0.424, 0.424, 0.149], [0.660, 0.660, 0.022], [0.730, 0.730, 0.581], [0.949, 0.949, 0.436]],
  "sg": "No. 8"
}

=====

[3]
{
  "formula": "DyMnSi",
  "functional": "PBE",
  "state": "relaxed",
  "cell": [[6.987, 0.000, 0.000], [0.000, 4.100, 0.000], [0.000, 0.000, 7.550]],
  "species": ["Dy", "Dy", "Dy", "Dy", "Mn", "Mn", "Mn", "Mn", "Si", "Si", "Si", "Si"],
  "fractional_positions": [[0.008, 0.250, 0.186], [0.492, 0.750, 0.686], [0.508, 0.250, 0.314], [0.992, 0.750, 0.814], [0.138, 0.250, 0.559], [0.362, 0.750, 0.059], [0.638, 0.250, 0.941], [0.862, 0.750, 0.441], [0.211, 0.750, 0.390], [0.289, 0.250, 0.890], [0.711, 0.750, 0.110], [0.789, 0.250, 0.610]],
  "sg": "No. 62"
}

=====

[4]
{
  "formula": "DyMn2Si2",
  "functional": "PBE",
  "state": "relaxed",
  "cell": [[-1.948, 1.948, 5.157], [1.948, -1.948, 5.157], [1.948, 1.948, -5.157]],
  "species": ["Dy", "Mn", "Mn", "Si", "Si"],
  "fractional_positions": [[0.000, 0.000, 0.000], [0.250, 0.750, 0.500], [0.750, 0.250, 0.500], [0.380, 0.380, 0.000], [0.620, 0.620, 0.000]],
  "sg": "No. 139"
}

=====

[5]
{
  "formula": "Dy2Mn3Si5",
  "functional": "PBE",
  "state": "relaxed",
  "cell": [[10.568, 0.000, 0.000], [0.000, 10.568, 0.000], [0.000, 0.000, 5.428]],
  "species": ["Dy", "Dy", "Dy", "Dy", "Dy", "Dy", "Dy", "Dy", "Mn", "Mn", "Mn", "Mn", "Mn", "Mn", "Mn", "Mn", "Mn", "Mn", "Mn", "Mn", "Si", "Si", "Si", "Si", "Si", "Si", "Si", "Si", "Si", "Si", "Si", "Si", "Si", "Si", "Si", "Si", "Si", "Si", "Si", "Si"],

The first analysis undertaken was of the 'good' dentist. Four factors were extracted and these are set out in Table 1. The selection and labelling of these factors is subjective to some extent (depending on interpretation of the screeplots) The prime factor was 'technical ability in dentistry' which explained almost 25 per cent of the common variance across the whole questionnaire. The common variance is a similar concept to that of R2 in multiple regression analysis. The second factor was 'patient orientated personal behaviour.' The final two factors were distinct but weaker: 'professionally orientated personal behaviour' and a collection of quite diverse characteristics labeled 'personal attributes.' Overall these four factors accounted for just over half of the total variance of the questionnaire.

Table 1 Table 1

The second analysis looked at the factors underlying the actual as opposed to desired performance of previous trainees. Only three major factors emerged as Table 2 shows. The first of these, somewhat clumsily labeled, 'professional and patient orientated personal communication and behaviour' reflects the fact that scores for patient and professional interaction, for want of a better term, tended to correlate.

Table 2 Table 2

This factor explained almost 40 per cent of the common variance on its own. The factor 'technical and general ability in dentistry' was somewhat wider than its equivalent in the first analysis. This and the final factor, 'practice behaviour and attitudes' accounted for a further 18 per cent of the variance.

The questionnaire also asked for background information on the trainer and trainee including gender, ethnic origin and dental school attended and the age of the trainer. Two sets of regressions were undertaken on the factor scores to test whether there were any differences in score by these VGDP and trainee characteristics. The first set sought to explain the factor scores for the 'good' dentist in terms of trainer characteristics (age, gender and dental school).

The second set sought to explain factor scores for previous trainees in terms of trainer and trainee characteristics (age of trainer and gender and dental school of trainee). The high number of dental schools relative to sample size left only enough degrees of freedom to sensibly test membership of three of the largest schools (GKT, Birmingham and Leeds) relative to all others. Ethnicity was excluded as a trainee and trainer characteristic due to problems with the coding of responses caused by an open-ended question design.

Table 3 reports the results. It is clear that all regressions performed very poorly – the factor scores are not closely related to the background variables collected.

Table 3 Table 3

Individual question scores were compared in more detail using the paired samples t-test. Theoretically data for the t-test should follow a normal distribution and be continuous. Signs tests were also undertaken for which the data should also be continuous (not reported). Our data does not conform precisely to these requirements but many statisticians feel that these are too strict and the t-test is generally robust to departures from normality and continuity.4 The t-tests and signs test generally correlate as to which characteristics were significantly different. Table 4 reports the results. In the table paired questions are ranked in descending 'good' dentist score order. Communication – with the patient and the dental team – and diagnostic skills were believed to be the most important single attributes of a 'good dentist.' At the other end of the scale, gender and multilingual skills were seen as being of little or no importance.

Table 4 Table 4

The table also shows the mean differences between scores for the good dentist and the previous trainee. Of the 22 pairs where meaningful comparisons can be made, previous trainees scored significantly lower than a good dentist on 13 (59 per cent), significantly higher on 4 (18 per cent) and similarly on 5 (23 per cent) pairs.

The largest discrepancies were for diagnostic skills, communication with patients and ability in prosthetics. There were no significant differences in terms of friendliness, sympathy, commitment to career advancement or professional appearance.


The finding that technical ability is the main factor behind what makes a 'good' dentist mirrors the findings of Gerbert et al.5 However, most studies have tended to find general communication issues are of more importance than technical ones.6,7 The majority of these studies however have been undertaken from the patient's perspective, most of whom who will not have the knowledge or ability to judge technical issues.8 From a trainer's perspective it is crucial that the trainee is competent. The other factors need little further discussion except to say that trainers clearly split the dentist's behaviour into two distinct categories: behaviour with the patient and behaviour with the rest of the dental team. Characteristics of the trainer did not predict the emphasis they placed on the different factors – the only significant finding being that older trainers were more likely to rate professionally orientated behaviour more highly (Table 3).

Table 2 is more interesting. It shows that scores for actual trainees tend to cluster into three groups. First, trainees who (do not) offer sympathy and friendliness to their patients tend to be good (poor) communicators with patients and the rest of the dental team and interact well with assistants during treatments. Second, technical ability (or lack of it) in one specialism tends to go hand in hand with technical ability in others (or lack of it) and this correlates with diagnostic skills and previous dental work experience. Thus trainees, when they are good, appear to have very rounded skills. Although trainee characteristics were once again in the main very poor predictors of trainee performance there are a few interesting results (Table 3). Birmingham trainees scored significantly lower than average for factor 2 and Leeds trainees significantly higher on factor 3. Finally, it appears that the changing gender mix of dental undergraduates has not led to any significant differences in terms of performance as trainee dentists.

The most interesting table of all is Table 4 which breaks down the scores for all question pairs. It shows that VGDPs judge that communication with patients is the most important single element in what makes a 'good' dentist – although as reported above the extracted factor 'technical ability' is the most important underlying core concern of trainers. Patient communication is closely followed by diagnostic skills and communication with the dental team. It also shows that these are the areas where trainees are most likely to fall short in terms of actual as compared to desired performance. In areas of technical ability trainees' absolute scores are also amongst the lowest. In contrast, the areas where trainees outperform what is expected in a 'good dentist are of lower importance, to trainers at least.

What does this mean? At first sight it seems to imply that Cabot and Radford's3 claim that, '. . . with well-developed communication skills, from day one, the new graduate should be able to inform and converse with patients in a competent manner,' is overly-optimistic. Despite more emphasis on communication skills in under-graduate dental courses, trainees leave their vocational year lacking the ability to communicate with patients. Yet, is this their fault? After all, as Cabot and Radford3 point out it is the role of vocational trainers to turn dental graduates into successful dental practitioners. Where else are trainees going to hone communication skills but under the watchful gaze of trainers? If there is a communication problem perhaps trainers should shoulder part of the blame.

Perhaps the problem has been overemphasised however. Although the gap between ideal and desired performance is one of the largest, trainees still scored a creditable 3.78 and 3.72 out of five on average for communication with patients and the dental team respectively. There may be deeper cause for concern about the more technical aspects of dentistry. The score for diagnostic skills was closer to three (3.15 out of 5 on average) as were all scores for technical ability, indeed ability in orthodontics received the lowest overall score (2.33 out of 5 on average).

This taken in conjunction with the high average score for academic knowledge may add some grist to the mill for those who argue that graduates are being pumped full of academic knowledge at the expense of practical technical expertise.


This study is the first – to the author's knowledge – that has canvassed the views of vocational trainers about the factors that make a 'good' dentist and rated their previous graduate trainee according to these factors. It makes mixed reading. Overall, trainees scored rather well with average scores on almost half of the questions over 3.5.

However, making the grade in the more technical areas seems problematic. It is not clear whether this is due to inadequacies on the part of the new graduate or unrealistic expectations on the part of VGDPs. It is also unclear whether this will be a problem for future dentists. If, as Hobson2 argues, the dentists' role is changing from that of a 'highly skilled technical professional to the oral health physician of the future' the dental schools may be ahead of the game in equipping their graduates with the academic skills they need. The cost of this is lower technical ability in the short-term.

What is clear is that more evaluation of vocational training is needed to answer some of these questions. Recent studies, including this one, have looked at several different aspects of vocational training.9,10 However, the time seems ripe for a full-scale prospective evaluation. This should involve both trainee and trainer assessment to agreed criteria, be longitudinal if possible, and importantly be undertaken by independent assessors. Perhaps then we will be more confident about whether current trainees make the grade.